Air Force Secretary Heather Wilson will resign at the end of May and take a job in academia.
The Air Force released a statement Friday morning, after Reuters broke the news of her impending resignation, that said Wilson will resign effective May 31, once the University of Texas Board of Regents officially votes to approve her as president of the University of Texas at El Paso. That approval is all but assured, as the regents Friday morning voted unanimously to make Wilson the sole finalist to be the UT El Paso president.
“It has been a privilege to serve alongside our airmen over the past two years, and I am proud of the progress that we have made restoring our nation’s defense,” Wilson said. “We have improved the readiness of the force; we have cut years out of acquisition schedules and gotten better prices through competition; we have repealed hundreds of superfluous regulations; and we have strengthened our ability to deter and dominate in space.”
(What comes next are data records, not part of the entry)
+++
Entry 1:
VASP calculation (GGA-PBE) on a geometry-optimized Rb3BP2 structure.

Properties
Total energy = -3.7825 eV/atom
Formation energy = -0.37 eV/atom

Cell: 6.735 6.735 9.434 Å, 75.55 75.55 87.93°
Positions (direct):
Rb 0.345 0.243 0.981
Rb 0.757 0.655 0.519
Rb 0.655 0.757 0.019
Rb 0.243 0.345 0.481
Rb 0.155 0.845 0.750
Rb 0.845 0.155 0.250
B 0.217 0.783 0.250
B 0.783 0.217 0.750
P 0.344 0.902 0.353
P 0.098 0.656 0.147
P 0.902 0.344 0.853
P 0.656 0.098 0.647

=====

Entry 2:
VASP calculation (GGA-PBE) on a geometry-optimized K2CO3 structure.

Properties
Energy with MP2020 corrections = -6.49 eV per atom
Total energy = -6.1488 eV/atom
Formation energy = -2.11 eV/atom

Cell: 5.785 5.785 7.151 Å, 90.00 90.00 120.00°
Positions (direct):
K 0.667 0.333 0.250
K 0.333 0.667 0.750
K 0.000 0.000 0.500
K 0.000 0.000 0.000
C 0.333 0.667 0.250
C 0.667 0.333 0.750
O 0.203 0.406 0.250
O 0.797 0.594 0.750
O 0.406 0.203 0.750
O 0.203 0.797 0.250
O 0.594 0.797 0.250
O 0.797 0.203 0.750

=====

Entry 3:
VASP calculation (GGA-PBE) on a geometry-optimized Nd4CdPd structure.

Properties
Total energy = -4.5925 eV/atom
Formation energy = -0.40 eV/atom

Cell: 10.037 10.037 10.037 Å, 60.00 60.00 60.00°
Positions (direct):
Nd 0.351 0.351 0.351
Nd 0.351 0.351 0.947
Nd 0.351 0.947 0.351
Nd 0.947 0.351 0.351
Nd 0.808 0.192 0.192
Nd 0.192 0.808 0.808
Nd 0.192 0.808 0.192
Nd 0.808 0.192 0.808
Nd 0.192 0.192 0.808
Nd 0.808 0.808 0.192
Nd 0.935 0.565 0.565
Nd 0.565 0.935 0.935
Nd 0.565 0.935 0.565
Nd 0.935 0.565 0.935
Nd 0.565 0.565 0.935
Nd 0.935 0.935 0.565
Cd 0.580 0.580 0.580
Cd 0.580 0.580 0.259
Cd 0.580 0.259 0.580
Cd 0.259 0.580 0.580
Pd 0.143 0.143 0.143
Pd 0.143 0.143 0.570
Pd 0.143 0.570 0.143
Pd 0.570 0.143 0.143

=====

Entry 4:
VASP calculation (GGA-PBE) on a geometry-optimized Ta2GaC structure.

Properties
Total energy = -9.5094 eV/atom
Formation energy = -0.52 eV/atom

Cell: 3.129 3.129 13.625 Å, 90.00 90.00 120.00°
Positions (direct):
Ta 0.333 0.667 0.410
Ta 0.667 0.333 0.590
Ta 0.667 0.333 0.910
Ta 0.333 0.667 0.090
Ga 0.333 0.667 0.750
Ga 0.667 0.333 0.250
C 0.000 0.000 0.000
C 0.000 0.000 0.500

=====

Entry 5:
VASP calculation (GGA-PBE) on a geometry-optimized Na3InS3 structure.

Properties
Energy with MP2020 corrections = -3.93 eV per atom
Total energy = -3.7121 eV/atom
Formation energy = -1.20 eV/atom

Cell: 10.537 10.537 7.467 Å, 69.35 69.35 79.83°
Positions (direct):
Na 0.009 0.173 0.457
Na 0.827 0.991 0.043
Na 0.991 0.827 0.543
Na 0.173 0.009 0.957
Na 0.230 0.363 0.587
Na 0.637 0.770 0.913
Na 0.770 0.637 0.413
Na 0.363 0.230 0.087
Na 0.722 0.278 0.750
Na 0.278 0.722 0.250
Na 0.436 0.564 0.750
Na 0.564 0.436 0.250
In 0.428 0.917 0.404
In 0.572 0.083 0.596
In 0.917 0.428 0.904
In 0.083 0.572 0.096
S 0.887 0.414 0.262
S 0.414 0.887 0.762
S 0.586 0.113 0.238
S 0.113 0.586 0.738
S 0.996 0.217 0.814
S 0.783 0.004 0.686
S 0.004 0.783 0.186
S 0.217 0.996 0.314
S 0.705 0.526 0.829
S 0.474 0.295 0.671
S 0.295 0.474 0.171
S 0.526 0.705 0.329

=====

Entry 6:
+++
In her resignation letter to President Trump, released by the Pentagon, Wilson said her May 31 resignation should allow enough time for a smooth transition.
-- Calculated crystals from another source follow --
-- begin --
Crystalline Li6TmB3O9 at its relaxed geometry. Source: the Materials Project database, functional PBE-GGA.

The structure in CIF format:
```
data_Li6TmB3O9
_symmetry_space_group_name_H-M 'P 1 21/c 1'
_symmetry_Int_Tables_number 14
_symmetry_space_group_name_Hall '-P 2ybc'
_cell_length_a 7.211
_cell_length_b 16.467
_cell_length_c 6.652
_cell_angle_alpha 90.00
_cell_angle_beta 105.51
_cell_angle_gamma 90.00
loop_
_atom_site_label
_atom_site_type_symbol
_atom_site_fract_x
_atom_site_fract_y
_atom_site_fract_z
Li1 Li 0.044 0.026 0.172
Li2 Li 0.071 0.704 0.041
Li3 Li 0.193 0.533 0.054
Li4 Li 0.213 0.207 0.864
Li5 Li 0.365 0.056 0.903
Li6 Li 0.426 0.006 0.321
Tm1 Tm 0.423 0.690 0.846
B1 B 0.063 0.618 0.688
B2 B 0.214 0.121 0.502
B3 B 0.417 0.636 0.338
O1 O 0.037 0.087 0.415
O2 O 0.084 0.701 0.728
O3 O 0.105 0.081 0.924
O4 O 0.226 0.571 0.772
O5 O 0.240 0.203 0.558
O6 O 0.363 0.686 0.164
O7 O 0.382 0.075 0.547
O8 O 0.410 0.553 0.324
O9 O 0.489 0.675 0.531
```

## Properties
E (MP2020)   -7.062 eV per atom
E_form   -2.83 eV per atom
Volume   10.01 Å³/atom


(1)
! Mg2Sb3 GGA-PBE optimized geometry; values from VASP
&SYSTEM
  ibrav = 0, nat = 5, ntyp = 2
/
ATOMIC_SPECIES
Mg 24.30 Mg.upf
Sb 121.76 Sb.upf
ATOMIC_POSITIONS angstrom
Mg 2.348 1.355 1.235
Mg 2.348 -1.355 6.256
Sb 2.348 1.355 4.346
Sb 2.348 -1.355 3.144
Sb 0.000 0.000 0.000
CELL_PARAMETERS angstrom
2.348 -4.066 0.000
2.348 4.066 0.000
0.000 0.000 7.490
! MP2020-corrected energy ... -3.339 eV/atom

(2)
! ZnCr2Se2S2 GGA-PBE optimized geometry; values from VASP
&SYSTEM
  ibrav = 0, nat = 14, ntyp = 4
/
ATOMIC_SPECIES
Zn 65.41 Zn.upf
Cr 52.00 Cr.upf
Se 78.96 Se.upf
S 32.06 S.upf
ATOMIC_POSITIONS angstrom
Zn 7.749 7.749 7.749
Zn 5.166 5.166 5.166
Cr 1.247 3.919 3.919
Cr 3.919 1.247 3.919
Cr 3.919 3.919 1.247
Cr 1.247 1.247 1.247
Se 3.768 6.565 6.565
Se 6.565 3.768 6.565
Se 6.565 6.565 3.768
Se 3.768 3.768 3.768
S 9.155 6.344 6.344
S 6.344 9.155 6.344
S 6.344 6.344 9.155
S 9.155 9.155 9.155
CELL_PARAMETERS angstrom
0.000 5.166 5.166
5.166 0.000 5.166
5.166 5.166 0.000
! MP2020-corrected energy ... -5.926 eV/atom

The following theoretical density values (in Mg/m³) correspond, in order, to the records above: 4.8; 4.7.
The following energy of formation from the pure elements values (in meV per atom) correspond, in order, to the records above: -222; -807.
-- stop --
“I very much appreciate the opportunity to have served,” Wilson said in her letter. “I remain a strong advocate for our nation’s defense and an airman for life.”
Trump tweeted out congratulations to Wilson Friday afternoon, said she “has done an absolutely fantastic job” as Air Force secretary, and thanked her for her service.
[The piece is interrupted by records of crystals]
#w
First-principles (PBE+U) data for a relaxed structure of Li2Cr3SnO8, as listed in Materials Project. Values from VASP.

Cell and atoms, written as Quantum ESPRESSO input:
```
&SYSTEM
  ibrav = 0, nat = 56, ntyp = 4
/
ATOMIC_SPECIES
Li 6.94 Li.upf
Cr 52.00 Cr.upf
Sn 118.71 Sn.upf
O 16.00 O.upf
CELL_PARAMETERS angstrom
8.4924 0.0000 0.0000
0.0000 8.5030 0.0000
0.0000 0.0000 8.5038
ATOMIC_POSITIONS angstrom
Li 0.0069 0.0095 0.0097
Li 2.0998 2.1043 2.1012
Li 2.1464 6.3987 6.3531
Li 4.2393 8.4935 4.2616
Li 4.2531 4.2420 8.4941
Li 6.3460 2.1472 6.4026
Li 6.3926 6.3557 2.1507
Li 8.4855 4.2610 4.2422
Cr 0.9908 1.1510 5.3240
Cr 1.0681 3.2626 7.3516
Cr 1.1484 5.3262 0.9902
Cr 3.0978 3.1768 5.2421
Cr 3.1781 5.2404 3.0997
Cr 3.2554 7.3520 1.0721
Cr 5.2370 3.1005 3.1798
Cr 5.3143 0.9889 1.1522
Cr 5.3946 7.4282 7.5136
Cr 7.3440 1.0748 3.2617
Cr 7.4243 7.5141 5.4041
Cr 7.5016 5.4025 7.4317
Sn 1.0563 7.4521 3.1971
Sn 3.1899 1.0509 7.4490
Sn 5.3025 5.3024 5.3067
Sn 7.4361 3.2006 1.0548
O 0.8687 1.0469 3.3202
O 0.9325 7.6331 5.2970
O 0.9435 5.1965 7.5602
O 1.0412 3.3222 0.8673
O 1.0875 1.2590 7.3192
O 1.1399 3.1139 5.3930
O 1.1843 5.3438 2.9917
O 1.2562 7.3212 1.0902
O 2.9900 1.1818 5.3421
O 3.0619 3.1592 7.2436
O 3.1063 5.3891 1.1411
O 3.1587 7.2440 3.0673
O 3.2050 5.1807 5.1192
O 3.3027 3.3065 3.3083
O 3.3137 0.8699 1.0451
O 3.3775 7.4561 7.5722
O 5.1149 3.2046 5.1836
O 5.1787 5.1214 3.2068
O 5.1897 7.5580 0.9436
O 5.2874 0.9292 7.6365
O 5.3337 2.9925 1.1847
O 5.3861 1.1376 3.1108
O 5.4305 7.4107 5.5121
O 5.5024 5.4333 7.4137
O 7.2362 3.0697 3.1617
O 7.3081 1.0923 1.2602
O 7.3525 7.3654 7.3627
O 7.4049 5.5105 5.4366
O 7.4512 7.5737 3.3846
O 7.5489 0.9450 5.1955
O 7.5599 3.3816 7.4587
O 7.6237 5.2984 0.9317
```

***

#x
First-principles (PBE+U) data for a relaxed structure of Li2Cr3SnO8, as listed in Materials Project. Values from VASP.

Cell and atoms, written as Quantum ESPRESSO input:
```
&SYSTEM
  ibrav = 0, nat = 56, ntyp = 4
/
ATOMIC_SPECIES
Li 6.94 Li.upf
Cr 52.00 Cr.upf
Sn 118.71 Sn.upf
O 16.00 O.upf
CELL_PARAMETERS angstrom
8.5084 0.0000 0.0000
0.0000 8.5084 0.0000
0.0000 0.0000 8.6106
ATOMIC_POSITIONS angstrom
Li 0.0104 2.1290 3.2398
Li 2.1290 0.0104 5.3707
Li 2.1252 4.2646 1.0872
Li 4.2438 6.3832 3.2181
Li 4.2646 2.1252 7.5234
Li 6.3832 4.2438 5.3925
Li 6.3794 8.4980 1.0655
Li 8.4980 6.3794 7.5451
Cr 1.0209 5.3364 4.3631
Cr 1.0822 3.2333 6.5157
Cr 1.1441 1.1441 0.0000
Cr 3.1101 5.3983 6.4579
Cr 3.1720 7.4876 8.5528
Cr 3.2333 1.0822 2.0949
Cr 5.2751 7.4262 6.4002
Cr 5.3364 1.0209 4.2475
Cr 5.3983 3.1101 2.1526
Cr 7.3643 7.3643 4.3053
Cr 7.4262 5.2751 2.2104
Cr 7.4876 3.1720 0.0578
Sn 1.0551 7.4533 2.1526
Sn 3.1991 3.1991 4.3053
Sn 5.3094 5.3094 0.0000
Sn 7.4533 1.0551 6.4579
O 0.8432 7.3680 4.2586
O 0.9345 5.3727 2.3243
O 1.0114 3.0317 8.5302
O 1.0482 1.2117 6.6077
O 1.1185 3.3197 4.4770
O 1.1404 7.6652 0.0467
O 1.2117 1.0482 2.0029
O 1.2225 5.2656 6.3775
O 3.0317 1.0114 0.0804
O 3.0425 5.3024 4.4550
O 3.1138 3.4110 6.4112
O 3.1357 7.5739 1.9809
Wilson has been Air Force secretary for about two years, but her tenure has seemed precarious in recent months as she reportedly clashed with White House officials — and now-acting Defense Secretary Patrick Shanahan — over President Trump’s plans to create a Space Force. In October, Foreign Policy reported that Trump was planning to fire Wilson after the midterm elections over her perceived slow-rolling of his Space Force order. The report said Shanahan was particularly angered by Wilson’s Space Force position.

But Wilson’s stock appeared to rise again, as the Pentagon decided to put the new Space Force under the Air Force. And Wilson’s name had been floated as a possible permanent secretary of Defense, succeeding former Sec. Jim Mattis. She remained close with Vice President Mike Pence, who she served alongside in Congress. Pence made a surprise appearance with Wilson at last September’s Air Force Association conference in National Harbor, Maryland.
Wilson is the first Air Force Academy graduate to serve as Air Force secretary, and she has a close relationship with Chief of Staff Gen. Dave Goldfein, also an academy graduate. Together, they made the case for expanding the Air Force by 74 squadrons as part of the Pentagon’s overall shift to focus on so-called “great power competition,” and away from fighting violent extremists in places like the Middle East.
On many occasions, Wilson sounded the alarm about an overstretched Air Force — especially after years of sequestration-driven cuts — and worried that airmen were being asked to do much. In a November 2017 press conference, Wilson and Goldfein worried that repeated deployments were going to burn out airmen and could even break the force.
“It is not fair for this nation to ask our commanders to keep saying ‘We got this’ right up to the point of failure, because we don’t got this,” Wilson said at the September 2017 AFA conference.
In a tweet Friday, Goldfein praised Wilson and wished her the best, and said the Air Force “hit the lottery” when she was chosen as secretary.
She graduated from the academy in 1982, as part of the third class in history that admitted women as cadets. She left the4 Air Force in 1989 to join the National Security Council as its director for European defense policy and arms control, and represented New Mexico in the House of Representatives from 1998 to 2009. She retired from the House after losing the 2008 Republican Senate primary in New Mexico.
Her move to UT El Paso will be a return to academia. Before becoming Air Force secretary, Wilson, originally from Keene, New Hampshire, served as president of the South Dakota School of Mines and Technology in Rapid City, South Dakota, from 2013 to 2017.
Stephen Losey is the air warfare reporter for Defense News. He previously covered leadership and personnel issues at Air Force Times, and the Pentagon, special operations and air warfare at He has traveled to the Middle East to cover U.S. Air Force operations.